Event News
- Date:
- Monday 23 March, 2015
- Time:
- 10:30-12:30 AND 13:50-16:50
- Place:
- Room 2009-2010 (GRACE Center, 20th floor), National Institute of Informatics
Talk 1
- Time:
- 10:30-11:10
- Title:
- The Blind Men and the Elephant
- Presenter:
- PD Dr. Arthur Zimek
Database and Information Systems
Institut für Informatik
Ludwig-Maximilians-Universität München (LMU Munich), Germany - Abstract:
- In this talk, we consider the fundamental problems of different sub-fields of clustering, especially focusing on subspace clustering, ensemble clustering, alternative (as a variant of constraint) clustering, multiview clustering (as a variant of alternative clustering), and clustering uncertain data. We discuss how these different branches of research on clustering, while rather different at first glance, in fact have a lot in common and can learn a lot from each other's solutions and approaches.
Talk 2
- Time:
- 11:10-11:50
- Title:
- Outlier Detection in Large and High-dimensional Data Sets and with Multiple Feature Spaces
- Presenter:
- Dr. Erich Schubert
Database and Information Systems
Institut für Informatik
Ludwig-Maximilians-Universität München (LMU Munich), Germany - Abstract:
- High-dimensional data offers new challenges for outlier detection, but also allows for interesting new approaches. We will first look at a new approach to scale nearest-neighbor based outlier detection algorithms to larger data sets and high dimensionality using random projections, space-filling curves, and clever data redistribution.
High dimensionality can arise from having the data represented in many feature spaces. However, these feature spaces may have different meaning and in particular different scale. Simply concatenating the features may then not yield much of an improvement, unless we pay attention to carefully normalizing the data. To improve results, we discuss normalization concepts that take the intrinsic dimensionality of the feature spaces into account.
Talk 3
- Time:
What comes next are materials data, not part of the piece >
- - -
Entry from Alexandria via LeMat-Bulk: a relaxed structure of Fe2Sb3 (GGA-PBE).

Output
- ΔE to the lowest computed polymorph: 0.000 eV per atom
- Uncorrected energy: -5.620 eV/atom
- Space-group type: No. 164
- ΔE_f (raw): 1.191 eV/f.u.

a b c (Å): 4.2317 4.2317 7.2832
angles (deg): 90.00 90.00 120.00
Closest atoms and distances in Å follow each position.
Fractional coordinates of all 5 atoms:
Fe  0.3333  0.6667  0.4043  7 Sb 2.54-2.81, 3 Fe 2.81
Fe  0.6667  0.3333  0.5957  7 Sb 2.54-2.81, 3 Fe 2.81
Sb  0.0000  0.0000  0.5000  6 Fe 2.54
Sb  0.3333  0.6667  0.7851  4 Fe 2.77-2.81
Sb  0.6667  0.3333  0.2149  4 Fe 2.77-2.81
- - -
- 11:50-12:30
- Title:
- Reverse Nearest Neighbors in Unsupervised Distance-Based Outlier Detection
- Presenter:
- Milos Radovanovic
Assistant Professor
Department of Mathematics and Informatics, Faculty of Science
University of Novi Sad, Serbia - Abstract:
- Outlier detection in high-dimensional data presents various challenges resulting from the "curse of dimensionality." A prevailing view is that distance concentration, i.e., the tendency of distances in high-dimensional data to become indiscernible, hinders the detection of outliers by making distance-based methods label all points as almost equally good outliers. We provide evidence supporting the opinion that such a view is too simple, by demonstrating that distance-based methods can produce more contrasting outlier scores in high-dimensional settings. Furthermore, we show that high dimensionality can have a different impact, by reexamining the notion ofreverse nearest neighbors in the unsupervised outlier-detection context. Namely, it was recently observed that the distribution of points'reverse-neighbor counts becomes skewed in high dimensions, resulting in the phenomenon known as hubness. We provide insight into how some points (antihubs) appear very infrequently in k-NN lists of other points, and explain the connection between antihubs, outliers, and existing unsupervised outlier-detection methods. By evaluating the classic k-NN method, the angle-based technique (ABOD) designed for high-dimensional data, the density-based local outlier factor (LOF) and influenced outlierness (INFLO) methods, and antihub-based methods on various synthetic and real-world data sets, we offer novel insight into the usefulness of reverse neighbor counts in unsupervised outlier detection.
::::::::::::::: Lunch :::::::::::::::
Talk 4
- Time:
-- begin --
The following is a DFT calculation (GGA-PBE) of crystalline Zr5As at its relaxed geometry.

a = 10.483 Å, b = 3.412 Å, c = 7.667 Å
α = 90.00°, β = 101.67°, γ = 90.00°
Space group Cm (No. 8)
Inequivalent atoms, fractional coordinates:
Zr  0.000  0.000  0.000 x2
Zr  0.047  0.000  0.403 x2
Zr  0.183  0.500  0.778 x2
Zr  0.295  0.000  0.153 x2
Zr  0.397  0.000  0.667 x2
As  0.262  0.500  0.425 x2

Calculated values
The value obtained for the energy above the most stable polymorph in this dataset is 0.0122 eV per atom. The spin magnetization comes out at 0.000 μB per atom. As for the density of states at the Fermi level: 1.0873 states/eV/atom. The value obtained for the energy of formation from the pure elements is -0.316 eV per atom. As for the theoretical density: 6.57 g/cm³.

* * * * *

[1]
19
Lattice="-1.1532 -8.5447 0.8224 8.4313 1.0563 1.6781 -3.8670 3.2326 7.0438" Properties=species:S:1:pos:R:3 comment="LaPm12Ge6, relaxed, DFT GGA-PBE" space_group=R-3m ef_mev_per_atom=-444 n_ef_per_ev_cell=25.61 magnetic_moment_mub_per_fu=0.223 volume_a3_per_fu=586.4 pbc="T T T"
La 0.0000 0.0000 0.0000
Pm -1.9125 -5.7522 4.4492
Pm 1.5958 -4.6444 5.5413
Pm 0.8745 -1.5143 7.1948
Pm -0.7321 -2.1632 3.7756
Pm 2.5366 -2.7416 2.3495
Pm 1.8153 0.3886 4.0030
Pm 0.6811 2.3178 7.1207
Pm 6.3480 -2.9494 2.7467
Pm 5.3236 1.4963 5.0952
Pm 2.7300 -6.5737 2.4237
Pm -2.9369 -1.3064 6.7977
Pm 4.1432 -2.0927 5.7687
Ge 0.3255 -4.9197 2.7413
Ge -0.9014 0.4049 5.5541
Ge 4.6587 -0.5790 3.1282
Ge 4.3125 -4.6607 3.9903
Ge 3.0856 0.6638 6.8030
Ge -1.2476 -3.6768 6.4162

***

[2]
8
Lattice="-1.0043 5.2206 -0.3955 -0.6162 -3.3133 -6.2426 -6.5931 -1.1720 1.2728" Properties=species:S:1:pos:R:3 comment="LaPm2Ge, relaxed, DFT GGA-PBE" space_group=Cmcm ef_mev_per_atom=-369 n_ef_per_ev_cell=7.44 magnetic_moment_mub_per_fu=0.000 volume_a3_per_fu=119.5 pbc="T T T"
La -5.0751 -0.9609 0.2041
La -3.1385 1.6962 -5.5695
Pm -7.2727 -1.6551 -3.3793
Pm -0.9408 2.3905 -1.9861
Pm -3.9894 1.8485 -1.3976
Pm -4.2241 -1.1132 -3.9678
Ge -6.1781 1.2717 -3.4536
Ge -2.0355 -0.5364 -1.9118

***

[3]
14
Lattice="9.0486 0.0000 0.0000 4.5243 7.8363 0.0000 4.5243 2.6121 6.0366" Properties=species:S:1:pos:R:3 comment="LaPm3Ge3, relaxed, DFT GGA-PBE" space_group=R-3 ef_mev_per_atom=-663 n_ef_per_ev_cell=5.29 magnetic_moment_mub_per_fu=0.000 volume_a3_per_fu=214.0 pbc="T T T"
La 4.5243 2.6121 0.0187
La 13.5728 7.8363 6.0180
Pm 10.2832 8.1577 4.3338
Pm 10.9717 2.6881 4.3338
Pm 5.8907 4.8267 4.3338
Pm 12.2064 5.6217 1.7028
Pm 7.1254 7.7602 1.7028
Pm 7.8139 2.2906 1.7028
Ge 6.1040 4.9794 1.3639
Ge 10.7328 2.7966 1.3639
Ge 10.3088 7.8966 1.3639
Ge 7.7883 2.5518 4.6728
Ge 7.3643 7.6518 4.6728
Ge 11.9931 5.4690 4.6728

***

[4]
7
Lattice="-3.7129 -2.1221 0.6917 3.7759 -0.4870 5.2080 -4.3014 7.5635 0.1149" Properties=species:S:1:pos:R:3 comment="La2Pm3Ge2, relaxed, DFT GGA-PBE" space_group=C2/m ef_mev_per_atom=-524 n_ef_per_ev_cell=7.86 magnetic_moment_mub_per_fu=0.002 volume_a3_per_fu=213.2 pbc="T T T"
-- stop --
- 13:50-14:30
- Title:
- A Data Dependent Dissimilarity Measure Based on Mass
- Presenter:
- Takashi Washio
The Institute of Scientific and Industrial Research
Osaka University, Japan - Abstract:
- Nearest neighbour search is a core process in many data mining algorithms. Finding reliable closest matches of a query in a high dimensional space is still a challenging task. This is because the effectiveness of many dissimilarity measures, that are based ona geometric model, such as Lp-norm, decreases as the number of dimensions increases.
In this work, we examine how the data distribution can be exploited to measure dissimilarity between two instances andpropose a new data dependent dissimilarity measure called ‘mp-dissimilarity’. Rather than relying on geometric distance, it measures the dissimilarity between two instances in each dimension as a probability mass in a region that encloses the two instances. It deems two instances in a sparse region to be more similar than two instances in a dense region, though these two pairs of instances have the same geometric distance.
Our empirical results show that the proposed dissimilarity measure indeed provides a reliable nearest neighbour search in high dimensional spaces, particularly in sparse data. mp-dissimilarity produced better task specific performance than Lp-norm and cosine distance in classification and information retrieval tasks.
Talk 5
- Time:
- 14:30-15:10
- Title:
- An Extreme-Value-Theoretic Formulation of Inlierness and Outlierness
- Presenter:
- Michael E. Houle
Visiting Professor
National Institute of Informatics, Japan - Abstract:
- This presentation is concerned with a theoretical characterization of the inlierness / outlierness of data, in terms of a recently-proposed continuous model of the intrinsic dimensionality (ID) of the underlying data set. Continuous ID can be regarded as an extension of Karger and Ruhl's expansion dimension to a statistical setting in which the distribution of distances to a query point is modeled in terms of a continuous random variable. This form of intrinsic dimensionality is particularly useful in search, classification, clustering, and other contexts in machine learning, databases, and data mining, as it has been shown to be equivalent to a measure of the discriminative power of similarity functions. For distances restricted to the lower tail of their distribution, several estimators ofcontinuous ID have recently been proposed and analyzed in light of extreme value theory (EVT).
Here, we present two theoretical results, and discuss their potential for practical impact in applications in such areas as databases, data mining, multimedia, and machine learning:
(1) Under reasonable assumptions, any continuous distance distribution admits a precise representation in terms of its ID. This representation allows the cumulative probability distribution to be expressed solely in terms of continuous ID, without explicit knowledge of the underlying probability densities.
(2) Using the ID representation of distance distribution, a natural measure of inlierness and outlierness of a data point can derived, normalized with respect to the intrinsic dimensionality. The measure is shown to be related to the second-order parameter of recent study in the area of EVT, and can be regarded as a measure of the curvature of an underlying manifold with respect to the data point.
::::::::::::::: Break :::::::::::::::
Talk 6
- Time:
- 15:30-16:10
- Title:
- Exploiting High Dimensionality for Similarity Search
- Presenter:
- Dr. Teddy Furon
Research Scientist
INRIA/IRISA Rennes, France - Abstract:
- We design an indexing architecture to store and search in a set of high-dimensional vectors. This architecture is composed of several memory units, each of which summarizes a fraction of the database by a single representative vector. The membership of the query tothe memory unit is tested by a simple correlation with its representative vector. This vector optimizes the membership hypothesis test when the query vectors are simple perturbations of the stored vectors.
Our approach finds the most similar database vectors within a fraction of the cost of an exhaustive search without noticeably reducingthe search quality. Interestingly, the gain of complexity is provably better in high-dimensional spaces. We empirically demonstrate its practical interest in a large-scale image search scenario. Our evaluation is carried out on standard benchmarks for large-scale image search and uses off-the-shelf state-of-the-art descriptors.
Talk 7
- Time:
- 16:10-16:50
- Title:
- Efficient Algorithms for Similarity Search in Axis-Aligned Subspaces
- Presenter:
- Vincent Oria
Associate Professor
Department of Computer Science
**Someone pasted materials data at this point**
┌──
1.
DFT (PBE) results for a relaxed structure of TbSm2Ir.

Structure (POSCAR):
```
TbSm2Ir
1.0
3.926 -0.161 0.000
-1.716 6.101 0.000
0.000 0.000 9.510
Ir Sm Tb
2 4 2
Cartesian
0.125 3.058 7.132
2.084 2.883 2.377
0.068 1.682 4.119
2.141 4.258 8.873
0.068 1.682 0.636
2.141 4.258 5.391
0.207 5.056 2.377
2.002 0.884 7.132
```

Computed properties:
- Crystal system: orthorhombic
- E_tot: -6.202 eV/atom
- ΔE_f: -469 meV per atom
- Energy above the lowest structure with this stoichiometry: 42 meV/atom
- V: 225.16 Å³/cell
- SG: Cmcm, No. 63



2.
DFT (PBE) results for a relaxed structure of Tb4Sm3Ir4.

Structure (POSCAR):
```
Tb4Sm3Ir4
1.0
-2.593 2.286 -1.842
-6.188 -2.539 5.561
6.284 6.207 3.023
Tb Ir Sm
4 4 3
Cartesian
0.081 3.561 4.306
2.438 4.527 2.188
-2.578 2.394 2.436
-4.935 1.427 4.554
-2.158 1.736 5.194
-2.635 0.594 0.282
-0.339 4.218 1.549
-6.146 -0.846 3.437
-2.878 4.731 5.760
0.381 1.224 0.983
-3.094 -1.269 2.781
```

Computed properties:
- Crystal system: orthorhombic
- E_tot: -6.811 eV/atom
- ΔE_f: -618 meV per atom
- V: 273.40 Å³/cell
- SG: Immm, No. 71



3.
DFT (PBE) results for a relaxed structure of Tb2Sm2Ir3.

Structure (POSCAR):
```
Tb2Sm2Ir3
1.0
4.491 -0.006 0.004
-2.241 5.509 -0.196
0.001 -1.007 7.428
Ir Tb Sm
3 2 2
Cartesian
0.004 1.362 5.380
2.247 3.135 1.856
0.000 0.000 0.000
0.003 3.907 0.361
2.248 0.590 6.875
2.252 3.355 4.647
-0.002 1.141 2.588
```

Computed properties:
- Crystal system: triclinic
- E_tot: -7.062 eV/atom
- ΔE_f: -593 meV per atom
- Energy above the lowest structure with this stoichiometry: 147 meV/atom
- V: 182.81 Å³/cell
- SG: P-1, No. 2
└──
New Jersey Institute of Technology, NJ, USA - Abstract:
- Many applications - such as content-based image retrieval, subspace clustering, and feature selection - may benefit from efficient subspace similarity search. Given a query object, the goal of subspace similarity search is to retrieve the most similar objects from the database, where the similarity distance is defined over an arbitrary subset of dimensions (or features) - that is, an arbitrary axis-aligned projective subspace. Though much effort has been spent on similarity search in fixed subspaces, relatively little attention has been given to the problem of similarity search when the dimensions are specified at query time. In this presentation, we propose several new methods for the subspace similarity search problem. Extensive experiments are provided showing very competitive performancerelative to state-of-the-art solutions.
For more information, please contact:
Michael Houle, Visiting Professor, National Institute of Informatics
E-mail: meh[at]nii.ac.jp
*Please replace [at] with @.